**File**
# 1
{
  "formula": "C17H28O4S2",
  "method": "ωB97M-V/def2-TZVPD",
  "symbols": ["C", "C", "C", "C", "S", "O", "O", "C", "C", "C", "C", "S", "O", "O", "C", "C", "C", "C", "C", "C", "C", "C", "C", "H", "H", "H", "H", "H", "H", "H", "H", "H", "H", "H", "H", "H", "H", "H", "H", "H", "H", "H", "H", "H", "H", "H", "H", "H", "H", "H", "H"],
  "xyz": [[4.684, -4.152, -2.039], [3.563, -5.086, -1.599], [2.170, -4.516, -1.875], [1.852, -3.274, -1.066], [0.139, -2.796, -1.451], [-0.753, -3.826, -0.983], [0.064, -2.439, -2.844], [-0.131, -1.321, -0.478], [-1.076, -1.301, 0.442], [-1.385, -0.109, 1.290], [-1.508, 1.202, 0.495], [-0.050, 2.239, 0.879], [0.030, 2.445, 2.303], [1.079, 1.596, 0.255], [-0.348, 3.844, 0.047], [0.981, 4.493, -0.293], [1.742, 4.912, 0.962], [3.104, 5.503, 0.617], [-2.849, 1.786, 0.966], [-3.881, 0.864, 0.357], [-3.807, -0.294, 1.001], [-2.734, -0.161, 2.053], [-2.881, 1.320, 2.425], [4.566, -3.887, -3.087], [4.687, -3.239, -1.450], [5.649, -4.638, -1.915], [3.662, -5.298, -0.532], [3.658, -6.032, -2.135], [1.414, -5.268, -1.641], [2.074, -4.268, -2.934], [2.472, -2.424, -1.335], [1.888, -3.456, 0.004], [0.513, -0.490, -0.710], [-1.659, -2.199, 0.596], [-0.574, 0.015, 2.018], [-1.457, 1.053, -0.582], [-0.932, 4.442, 0.740], [-0.924, 3.611, -0.845], [0.812, 5.362, -0.935], [1.578, 3.767, -0.849], [1.871, 4.039, 1.601], [1.153, 5.648, 1.515], [2.992, 6.377, -0.022], [3.629, 5.802, 1.520], [3.712, 4.770, 0.092], [-2.976, 2.849, 0.774], [-4.489, 1.120, -0.490], [-4.352, -1.198, 0.805], [-2.757, -0.887, 2.861], [-2.052, 1.708, 3.013], [-3.828, 1.541, 2.914]],
  "atomic_forces_ev_per_a": [[-0.1, -0.2, 0.1], [-0.1, 0.2, -0.1], [0.0, -0.3, 0.0], [-0.8, 0.2, -0.2], [0.0, 0.4, 0.3], [0.1, -0.1, 0.3], [0.3, 0.2, -0.1], [0.3, -0.8, -0.4], [-0.1, -0.1, 0.1], [0.3, -0.1, 0.1], [0.8, 0.8, 0.0], [-0.5, 0.0, -0.3], [-0.2, 0.2, 0.2], [0.2, -0.1, -0.4], [0.1, -0.7, 0.2], [0.2, 0.0, 0.3], [0.2, 0.0, -0.3], [-0.2, -0.1, 0.1], [-0.2, 0.3, 0.1], [-0.1, 0.1, 0.0], [-0.1, -0.1, 0.1], [0.1, 0.0, 0.1], [0.0, 0.0, 0.3], [0.0, 0.1, -0.1], [0.1, 0.1, 0.0], [0.1, 0.0, 0.0], [0.0, -0.1, 0.0], [0.0, 0.0, 0.1], [0.0, 0.0, -0.1], [0.0, -0.1, 0.0], [0.1, 0.2, 0.0], [0.0, 0.0, 0.2], [0.1, 0.2, -0.1], [-0.1, -0.2, 0.1], [-0.1, -0.1, 0.0], [0.0, 0.0, -0.1], [-0.2, 0.0, 0.0], [-0.1, 0.0, -0.1], [-0.1, -0.1, 0.0], [0.0, 0.1, -0.1], [0.0, 0.1, 0.1], [-0.1, 0.0, 0.1], [0.1, 0.1, -0.1], [0.1, 0.1, 0.0], [0.1, -0.1, -0.1], [0.0, 0.0, 0.0], [-0.1, 0.0, -0.2], [-0.1, -0.2, -0.2], [0.0, 0.0, 0.0], [0.0, 0.0, 0.0], [0.0, 0.0, 0.0]],
  "nbo_charge": [-0.609, -0.385, -0.419, -0.635, 2.160, -0.960, -0.949, -0.505, -0.106, -0.278, -0.440, 2.160, -0.960, -0.971, -0.630, -0.411, -0.400, -0.600, -0.270, -0.186, -0.193, -0.248, -0.391, 0.205, 0.199, 0.213, 0.194, 0.207, 0.227, 0.221, 0.233, 0.232, 0.253, 0.237, 0.257, 0.251, 0.238, 0.234, 0.213, 0.229, 0.217, 0.194, 0.198, 0.212, 0.206, 0.225, 0.221, 0.225, 0.229, 0.238, 0.220],
  "largest_force_ev_per_a": 1.09,
  "de_lowest_kcal_mol": 16.2,
  "smiles": "CCCCS(=O)(=O)/C=C/[C@H]1[C@H](S(=O)(=O)CCCC)[C@H]2C=C[C@@H]1C2",
  "e_tot_ev": -47942.080,
  "homo_energy_ev": -9.7,
  "spin_multiplicity": 1,
  "gap_ev": 10.317
}

# 2
{
  "formula": "C17H29BrN2O7S3",
  "method": "ωB97M-V/def2-TZVPD",
  "symbols": ["C", "C", "C", "O", "C", "C", "C", "N", "C", "Br", "C", "N", "S", "C", "O", "O", "H", "H", "H", "H", "H", "H", "H", "H", "H", "H", "H", "H", "H", "O", "S", "O", "C", "C", "C", "C", "H", "H", "H", "H", "H", "H", "H", "H", "O", "S", "O", "C", "C", "C", "C", "H", "H", "H", "H", "H", "H", "H", "H"],

**What to do**
Retype all of the data further up character by character.

**Worked solution**
# 1
{
  "formula": "C17H28O4S2",
  "method": "ωB97M-V/def2-TZVPD",
  "symbols": ["C", "C", "C", "C", "S", "O", "O", "C", "C", "C", "C", "S", "O", "O", "C", "C", "C", "C", "C", "C", "C", "C", "C", "H", "H", "H", "H", "H", "H", "H", "H", "H", "H", "H", "H", "H", "H", "H", "H", "H", "H", "H", "H", "H", "H", "H", "H", "H", "H", "H", "H"],
  "xyz": [[4.684, -4.152, -2.039], [3.563, -5.086, -1.599], [2.170, -4.516, -1.875], [1.852, -3.274, -1.066], [0.139, -2.796, -1.451], [-0.753, -3.826, -0.983], [0.064, -2.439, -2.844], [-0.131, -1.321, -0.478], [-1.076, -1.301, 0.442], [-1.385, -0.109, 1.290], [-1.508, 1.202, 0.495], [-0.050, 2.239, 0.879], [0.030, 2.445, 2.303], [1.079, 1.596, 0.255], [-0.348, 3.844, 0.047], [0.981, 4.493, -0.293], [1.742, 4.912, 0.962], [3.104, 5.503, 0.617], [-2.849, 1.786, 0.966], [-3.881, 0.864, 0.357], [-3.807, -0.294, 1.001], [-2.734, -0.161, 2.053], [-2.881, 1.320, 2.425], [4.566, -3.887, -3.087], [4.687, -3.239, -1.450], [5.649, -4.638, -1.915], [3.662, -5.298, -0.532], [3.658, -6.032, -2.135], [1.414, -5.268, -1.641], [2.074, -4.268, -2.934], [2.472, -2.424, -1.335], [1.888, -3.456, 0.004], [0.513, -0.490, -0.710], [-1.659, -2.199, 0.596], [-0.574, 0.015, 2.018], [-1.457, 1.053, -0.582], [-0.932, 4.442, 0.740], [-0.924, 3.611, -0.845], [0.812, 5.362, -0.935], [1.578, 3.767, -0.849], [1.871, 4.039, 1.601], [1.153, 5.648, 1.515], [2.992, 6.377, -0.022], [3.629, 5.802, 1.520], [3.712, 4.770, 0.092], [-2.976, 2.849, 0.774], [-4.489, 1.120, -0.490], [-4.352, -1.198, 0.805], [-2.757, -0.887, 2.861], [-2.052, 1.708, 3.013], [-3.828, 1.541, 2.914]],
  "atomic_forces_ev_per_a": [[-0.1, -0.2, 0.1], [-0.1, 0.2, -0.1], [0.0, -0.3, 0.0], [-0.8, 0.2, -0.2], [0.0, 0.4, 0.3], [0.1, -0.1, 0.3], [0.3, 0.2, -0.1], [0.3, -0.8, -0.4], [-0.1, -0.1, 0.1], [0.3, -0.1, 0.1], [0.8, 0.8, 0.0], [-0.5, 0.0, -0.3], [-0.2, 0.2, 0.2], [0.2, -0.1, -0.4], [0.1, -0.7, 0.2], [0.2, 0.0, 0.3], [0.2, 0.0, -0.3], [-0.2, -0.1, 0.1], [-0.2, 0.3, 0.1], [-0.1, 0.1, 0.0], [-0.1, -0.1, 0.1], [0.1, 0.0, 0.1], [0.0, 0.0, 0.3], [0.0, 0.1, -0.1], [0.1, 0.1, 0.0], [0.1, 0.0, 0.0], [0.0, -0.1, 0.0], [0.0, 0.0, 0.1], [0.0, 0.0, -0.1], [0.0, -0.1, 0.0], [0.1, 0.2, 0.0], [0.0, 0.0, 0.2], [0.1, 0.2, -0.1], [-0.1, -0.2, 0.1], [-0.1, -0.1, 0.0], [0.0, 0.0, -0.1], [-0.2, 0.0, 0.0], [-0.1, 0.0, -0.1], [-0.1, -0.1, 0.0], [0.0, 0.1, -0.1], [0.0, 0.1, 0.1], [-0.1, 0.0, 0.1], [0.1, 0.1, -0.1], [0.1, 0.1, 0.0], [0.1, -0.1, -0.1], [0.0, 0.0, 0.0], [-0.1, 0.0, -0.2], [-0.1, -0.2, -0.2], [0.0, 0.0, 0.0], [0.0, 0.0, 0.0], [0.0, 0.0, 0.0]],
  "nbo_charge": [-0.609, -0.385, -0.419, -0.635, 2.160, -0.960, -0.949, -0.505, -0.106, -0.278, -0.440, 2.160, -0.960, -0.971, -0.630, -0.411, -0.400, -0.600, -0.270, -0.186, -0.193, -0.248, -0.391, 0.205, 0.199, 0.213, 0.194, 0.207, 0.227, 0.221, 0.233, 0.232, 0.253, 0.237, 0.257, 0.251, 0.238, 0.234, 0.213, 0.229, 0.217, 0.194, 0.198, 0.212, 0.206, 0.225, 0.221, 0.225, 0.229, 0.238, 0.220],
  "largest_force_ev_per_a": 1.09,
  "de_lowest_kcal_mol": 16.2,
  "smiles": "CCCCS(=O)(=O)/C=C/[C@H]1[C@H](S(=O)(=O)CCCC)[C@H]2C=C[C@@H]1C2",
  "e_tot_ev": -47942.080,
  "homo_energy_ev": -9.7,
  "spin_multiplicity": 1,
  "gap_ev": 10.317
}

# 2
{
  "formula": "C17H29BrN2O7S3",
  "method": "ωB97M-V/def2-TZVPD",
  "symbols": ["C", "C", "C", "O", "C", "C", "C", "N", "C", "Br", "C", "N", "S", "C", "O", "O", "H", "H", "H", "H", "H", "H", "H", "H", "H", "H", "H", "H", "H", "O", "S", "O", "C", "C", "C", "C", "H", "H", "H", "H", "H", "H", "H", "H", "O", "S", "O", "C", "C", "C", "C", "H", "H", "H", "H", "H", "H", "H", "H"],